To do:
It remains to restate the notes below from the first line to the one with "89.12" without additions.

Material:
'''
DFT (PBE) results for a geometry-optimized LiCu2H6Rh structure.

a b c (Å): 4.788 4.671 5.216
angles (deg): 88.15 120.89 122.52
Fractional coordinates of all 10 atoms:
Li: 0.031 0.522 0.636
Cu: 0.601 0.806 0.267
Cu: 0.653 0.312 0.964
H: 0.529 0.948 0.699
H: 0.444 0.079 0.161
H: 0.893 0.779 0.191
H: 0.142 0.390 0.130
H: 0.669 0.551 0.690
H: 0.056 0.114 0.650
Rh: 0.948 0.976 0.914

Calculated values
Its space group is No. 1. For the uncorrected energy, the calculation gives -3.856 eV/atom.

=====

DFT (PBE) results for a geometry-optimized HfAgTeRu2 structure.

a b c (Å): 4.788 5.207 4.788
angles (deg): 90.00 90.00 90.00
Fractional coordinates of all 5 atoms:
Ru: 0.000 0.000 0.500
Ru: 0.500 0.000 0.000
Te: 0.500 0.500 0.500
Hf: 0.000 0.000 0.000
Ag: 0.000 0.500 0.000

Calculated values
Its space group is No. 123. The value obtained for the raw formation energy is 1.211 eV/atom. As for the excess energy over the best structure of this formula in the dataset: 0 meV per atom.

=====

DFT (PBE) results for a geometry-optimized Pm2SbAs structure.

a b c (Å): 4.321 4.321 7.814
angles (deg): 73.95 73.95 60.00
Fractional coordinates of all 4 atoms:
Pm: 0.076 0.076 0.772
Pm: 0.257 0.257 0.229
Sb: 0.499 0.499 0.503
As: 0.668 0.668 0.996

Calculated values
Its space group is No. 160. The value obtained for the raw formation energy is -1.236 eV/atom. As for the excess energy over the best structure of this formula in the dataset: 106 meV per atom.

=====

DFT (PBE) results for a geometry-optimized Pm4ErTh3Se8 structure.

a b c (Å): 8.333 8.390 8.331
angles (deg): 119.77 120.01 90.00
Fractional coordinates of all 16 atoms:
Pm: 0.500 0.000 0.000
Pm: 0.500 0.000 0.500
Pm: 0.000 0.000 0.000
Pm: 0.000 0.000 0.500
Er: 0.000 0.500 0.000
Th: 0.500 0.500 0.000
Th: 0.500 0.500 0.500
Th: 0.000 0.500 0.500
Se: 0.245 0.747 0.002
Se: 0.245 0.747 0.490
Se: 0.249 0.246 0.497
Se: 0.757 0.747 0.002
Se: 0.243 0.253 0.998
Se: 0.751 0.754 0.503
Se: 0.755 0.253 0.510
Se: 0.755 0.253 0.998

Calculated values
Its space group is No. 166. The value obtained for the raw formation energy is -1.697 eV/atom.

=====

DFT (PBE) results for a geometry-optimized BaCaMg2I8 structure.

a b c (Å): 7.562 7.246 9.160
angles (deg): 90.00 90.00 89.12
Fractional coordinates of all 12 atoms:
Ba: 0.000 0.000 0.500
Ca: 0.000 0.000 0.000
Mg: 0.500 0.500 0.756
Mg: 0.500 0.500 0.244
I: 0.177 0.738 0.230
I: 0.653 0.726 0.000
I: 0.823 0.262 0.230
I: 0.823 0.262 0.770
I: 0.347 0.274 0.000
I: 0.177 0.738 0.770
I: 0.637 0.715 0.500
I: 0.363 0.285 0.500

Calculated values
Its space group is No. 10. The value obtained for the raw formation energy is -1.281 eV/atom.

=====

DFT (PBE) results for a geometry-optimized AlFe2Ni6 structure.

a b c (Å): 4.126 6.874 5.472
angles (deg): 128.90 111.90 90.00
Fractional coordinates of all 9 atoms:
Al: 0.000 0.000 0.000
Fe: 0.662 0.661 0.322
Fe: 0.338 0.339 0.678
Ni: 0.167 0.480 0.334
Ni: 0.833 0.146 0.666
Ni: 0.833 0.520 0.666
Ni: 0.500 0.189 0.000
Ni: 0.167 0.854 0.334
Ni: 0.500 0.811 0.000

Calculated values
Its space group is No. 12. As for the excess energy over the best structure of this formula in the dataset: 91 meV per atom. The calculation puts the energy of formation at -29 kJ/mol of formula units.

=====

Magnetization (computed, μB/atom): 0.0000; 0.3110; 0.0000; 0.0000; 0.0000; 0.8602
'''

Here it is:
DFT (PBE) results for a geometry-optimized LiCu2H6Rh structure.

a b c (Å): 4.788 4.671 5.216
angles (deg): 88.15 120.89 122.52
Fractional coordinates of all 10 atoms:
Li: 0.031 0.522 0.636
Cu: 0.601 0.806 0.267
Cu: 0.653 0.312 0.964
H: 0.529 0.948 0.699
H: 0.444 0.079 0.161
H: 0.893 0.779 0.191
H: 0.142 0.390 0.130
H: 0.669 0.551 0.690
H: 0.056 0.114 0.650
Rh: 0.948 0.976 0.914

Calculated values
Its space group is No. 1. For the uncorrected energy, the calculation gives -3.856 eV/atom.

=====

DFT (PBE) results for a geometry-optimized HfAgTeRu2 structure.

a b c (Å): 4.788 5.207 4.788
angles (deg): 90.00 90.00 90.00
Fractional coordinates of all 5 atoms:
Ru: 0.000 0.000 0.500
Ru: 0.500 0.000 0.000
Te: 0.500 0.500 0.500
Hf: 0.000 0.000 0.000
Ag: 0.000 0.500 0.000

Calculated values
Its space group is No. 123. The value obtained for the raw formation energy is 1.211 eV/atom. As for the excess energy over the best structure of this formula in the dataset: 0 meV per atom.

=====

DFT (PBE) results for a geometry-optimized Pm2SbAs structure.

a b c (Å): 4.321 4.321 7.814
angles (deg): 73.95 73.95 60.00
Fractional coordinates of all 4 atoms:
Pm: 0.076 0.076 0.772
Pm: 0.257 0.257 0.229
Sb: 0.499 0.499 0.503
As: 0.668 0.668 0.996

Calculated values
Its space group is No. 160. The value obtained for the raw formation energy is -1.236 eV/atom. As for the excess energy over the best structure of this formula in the dataset: 106 meV per atom.

=====

DFT (PBE) results for a geometry-optimized Pm4ErTh3Se8 structure.

a b c (Å): 8.333 8.390 8.331
angles (deg): 119.77 120.01 90.00
Fractional coordinates of all 16 atoms:
Pm: 0.500 0.000 0.000
Pm: 0.500 0.000 0.500
Pm: 0.000 0.000 0.000
Pm: 0.000 0.000 0.500
Er: 0.000 0.500 0.000
Th: 0.500 0.500 0.000
Th: 0.500 0.500 0.500
Th: 0.000 0.500 0.500
Se: 0.245 0.747 0.002
Se: 0.245 0.747 0.490
Se: 0.249 0.246 0.497
Se: 0.757 0.747 0.002
Se: 0.243 0.253 0.998
Se: 0.751 0.754 0.503
Se: 0.755 0.253 0.510
Se: 0.755 0.253 0.998

Calculated values
Its space group is No. 166. The value obtained for the raw formation energy is -1.697 eV/atom.

=====

DFT (PBE) results for a geometry-optimized BaCaMg2I8 structure.

a b c (Å): 7.562 7.246 9.160
angles (deg): 90.00 90.00 89.12